Subject: File No. S7-07-13
From: Julie Gorte, Ph.D.
Affiliation: Pax World Management LLC

October 10, 2013

Elizabeth M. Murphy
U.S. Securities and Exchange Commission
100 F St. NE
Washington, DC 20549-1090

Re: Pay Ratio Disclosure, File No. S7-07-13

┌──
(1)
# Cs3P3HO9

An optimized crystal structure of Cs3P3HO9 (GGA-PBE, the Materials Project).

```
Cs3P3HO9
1.0
-1.532 7.900 0.076
-7.790 -0.791 2.804
-0.397 0.685 10.693
O Cs P H
18 6 6 2
direct
0.388 0.136 0.103
0.063 0.839 0.745
0.740 0.140 0.728
0.477 0.019 0.677
0.260 0.860 0.272
0.145 0.172 0.952
0.756 0.855 0.681
0.948 0.596 0.685
0.937 0.161 0.255
0.359 0.410 0.899
0.612 0.864 0.897
0.052 0.404 0.315
0.855 0.828 0.048
0.523 0.981 0.323
0.244 0.145 0.319
0.848 0.640 0.903
0.641 0.590 0.101
0.152 0.360 0.097
0.630 0.293 0.369
0.370 0.707 0.631
0.760 0.241 0.981
0.111 0.212 0.666
0.240 0.759 0.019
0.889 0.788 0.334
0.921 0.731 0.748
0.642 0.989 0.740
0.257 0.272 0.998
0.079 0.269 0.252
0.743 0.728 0.002
0.358 0.011 0.260
0.292 0.521 0.411
0.708 0.479 0.589
```

Calculated values
**M_tot**: 0.06 μB per atom
**Uncorrected energy**: -6.146 eV per atom
**Density**: 3.18 g cm⁻³

(2)
# CsScP2H2O8

An optimized crystal structure of CsScP2H2O8 (GGA-PBE, the Materials Project).

```
CsScP2H2O8
1.0
9.324 0.000 0.000
0.000 5.427 0.000
0.000 1.148 14.896
O H Sc P Cs
32 8 4 8 4
direct
0.808 0.783 0.396
0.808 0.968 0.221
0.795 0.237 0.587
0.886 0.455 0.919
0.826 0.743 0.040
0.455 0.089 0.603
0.308 0.032 0.279
0.545 0.911 0.397
0.326 0.257 0.460
0.351 0.565 0.292
0.614 0.455 0.419
0.174 0.257 0.960
0.599 0.262 0.236
0.674 0.743 0.540
0.649 0.435 0.708
0.192 0.032 0.779
0.692 0.968 0.721
0.955 0.911 0.897
0.295 0.763 0.913
0.099 0.738 0.264
0.901 0.262 0.736
0.045 0.089 0.103
0.401 0.738 0.764
0.149 0.565 0.792
0.192 0.217 0.604
0.114 0.545 0.081
0.308 0.217 0.104
0.705 0.237 0.087
0.386 0.545 0.581
0.851 0.435 0.208
0.692 0.783 0.896
0.205 0.763 0.413
0.802 0.834 0.330
0.302 0.166 0.170
0.698 0.834 0.830
0.198 0.166 0.670
0.710 0.254 0.548
0.790 0.254 0.048
0.290 0.746 0.452
0.210 0.746 0.952
0.536 0.748 0.651
0.036 0.252 0.849
0.964 0.748 0.151
0.464 0.252 0.349
0.849 0.722 0.939
0.745 0.227 0.193
0.151 0.278 0.061
0.651 0.722 0.439
0.255 0.773 0.807
0.349 0.278 0.561
0.245 0.773 0.307
0.755 0.227 0.693
0.504 0.731 0.112
0.496 0.269 0.888
0.996 0.731 0.612
0.004 0.269 0.388
```

Calculated values
**M_tot**: 0.00 μB per atom
**Uncorrected energy**: -6.910 eV per atom
**Density**: 3.26 g cm⁻³

(3)
# CsTmP4H12O18

An optimized crystal structure of CsTmP4H12O18 (GGA-PBE, the Materials Project).

```
CsTmP4H12O18
1.0
-6.231 -3.925 1.907
3.530 2.467 6.271
-8.272 12.703 -0.104
H P O Cs Tm
24 8 36 2 2
direct
0.478 0.964 0.275
0.388 0.880 0.611
0.224 0.680 0.607
0.670 0.271 0.610
0.330 0.729 0.390
0.494 0.125 0.818
0.680 0.224 0.107
0.120 0.612 0.889
0.728 0.458 0.554
0.776 0.320 0.393
0.271 0.670 0.110
0.036 0.522 0.225
0.542 0.272 0.946
0.125 0.494 0.318
0.964 0.478 0.775
0.458 0.728 0.054
0.880 0.388 0.111
0.506 0.875 0.182
0.320 0.776 0.893
0.875 0.506 0.682
0.612 0.120 0.389
0.729 0.330 0.890
0.272 0.542 0.446
0.522 0.036 0.725
0.833 0.756 0.426
0.790 0.963 0.586
0.037 0.210 0.914
0.210 0.037 0.414
0.167 0.244 0.574
0.963 0.790 0.086
0.244 0.167 0.074
└──

Dear Ms. Murphy,

On behalf of Pax World Funds (, I write to support the U.S. Securities and Exchange Commissions proposal requiring disclosure of the CEO-to-worker pay ratio as mandated by Section 953(b) of the Dodd-Frank Wall Street Reform and Consumer Protection Act. As investors in publicly traded corporations, we strongly believe that this information will benefit investors.

The ratio of CEO to worker pay at individual companies is, in our view, material to investors. High pay disparities inside a company can hurt employee morale and productivity, and have a negative impact on a companys overall performance. Moreover, disclosure of the median employee pay will help investors better understand companies overall compensation approach to developing human capital.

Investors will also be able to use CEO-to-worker pay ratios as an additional metric for evaluating say-on-pay votes and other executive compensation issues. Pay ratio disclosure helps investors evaluate CEO pay levels in the context of companies internal compensation structures. Investors will be able to see how the ratio changes over time at individual companies and compare companies within industries.

As required by Dodd-Frank Section 953(b), the proposed rule appropriately requires companies to disclose the median pay of all of their employees. Given recent labor market trends, many publicly traded companies employ significant percentages of international employees or part-time employees, sometimes in order to avoid paying benefits. This can harm employee morale and productivity. Investors will receive an incomplete picture of their companys pay practices if these employees are excluded from the disclosure.

Many commenters noted that it would be overly burdensome or complex to assemble and verify such information. In particular, some noted that registrants typically compile information required by Item 403(c)(2)(x) manually for named executive officers, which takes significant time and resources. However, we do not believe that most employees compensation is as complex as that of named executive officers, whose total compensation generally consists of several components, while that of most employees is likely to be salary and benefits or only salary. The SECs proposal to allow flexibility in how the median compensation of non-PEO employees makes it considerably less burdensome to produce this information. Many corporations manage large global supply chains involved in complex production of a wide variety of goods and services. Arguing that such companies are incapable of keeping track of employee compensation adequately to compute median compensation is frankly difficult to fathom. Particularly with the flexibility afforded by the proposed rule, we believe that companies should be well able to provide this information without undue difficulty or expense.

Finally, we are satisfied that the SECs proposed rule as written applies broadly enough to serve investor needs most of the time that it need not apply to companies that are not obliged to comply with Item 402 requirements in Regulation S-K.

Please act swiftly to adopt the final rule implementing Section 953(b) of the Dodd Frank Act. Investors will benefit from this additional disclosure on executive compensation and in making investment decisions based upon such information. Thank you your consideration.


Julie Fox Gorte
Senior Vice President for Sustainable Investing